Material:
1.
Below is a structure of composition C7H21N2OPSYb at a distorted geometry, with properties calculated with wB97M-V/def2-TZVPD.

CARTESIAN COORDINATES (ANGSTROEM)
1 Yb -0.023 1.113 -0.765
2 H 1.025 3.039 -0.618
3 H 1.043 3.019 -1.395
4 P -0.260 -0.307 -3.176
5 C 1.012 -1.207 -4.151
6 H 0.780 -1.376 -5.211
7 H 1.957 -0.650 -4.130
8 H 1.186 -2.195 -3.706
9 C -1.808 -1.130 -3.737
10 H -2.671 -0.560 -3.374
11 H -1.946 -1.247 -4.819
12 H -1.872 -2.139 -3.310
13 C -0.370 1.240 -4.160
14 H 0.567 1.793 -4.132
15 H -0.592 1.105 -5.214
16 H -1.164 1.880 -3.782
17 C 2.241 -0.526 -1.001
18 O 3.232 -1.028 -0.746
19 H -1.852 0.726 -0.943
20 H -0.315 -1.133 -0.890
21 C -1.224 0.971 4.974
22 N -1.139 0.316 3.647
23 C -0.037 -0.068 2.975
24 S -0.094 -0.386 1.263
25 N 1.140 -0.264 3.665
26 C 1.220 -0.969 4.969
27 H -0.225 1.069 5.405
28 H -1.881 0.400 5.664
29 H -1.654 1.941 4.763
30 H -1.966 0.454 3.065
31 H 1.934 -0.461 3.069
32 H 1.652 -1.939 4.742
33 H 1.880 -0.405 5.655
34 H 0.225 -1.079 5.405

Atomic forces in eV per Å
Yb -0.484 -4.117 -0.521
H 0.335 0.540 -1.094
H 0.205 0.413 0.932
P -0.187 0.724 -1.373
C 0.481 -0.271 0.214
H -0.368 0.236 0.317
H -0.133 -0.114 0.135
H 0.025 0.211 0.010
C -0.425 -0.285 0.639
H 0.213 -0.110 0.124
H 0.579 0.299 0.092
H 0.038 0.261 0.094
C -0.074 0.167 -0.594
H 0.228 0.068 0.164
H -0.070 -0.202 -0.271
H -0.161 0.109 0.249
C 1.425 -0.075 0.602
O -1.894 0.593 -0.553
H -0.433 0.630 -0.237
H 0.497 1.160 0.138
C 0.018 -0.771 -0.269
N 0.291 -0.179 -0.385
C 0.760 1.016 1.307
S 0.191 -0.765 1.031
N -1.424 -0.063 -0.390
C 0.284 0.683 -0.197
H -0.327 0.138 -0.113
H 0.445 0.347 -0.465
H -0.041 0.285 0.399
H 0.497 -0.269 0.136
H -0.334 0.028 -0.109
H -0.041 -0.198 0.386
H -0.424 -0.390 -0.291
H 0.306 -0.102 -0.105

## Properties
- energy relative to the best compared isomer or geometry (same formula, charge and spin) (eV) = 0.629
- charge = +1
- 2S+1 = 2
- LUMO level (spin up / spin down) (eV) = -3.761 / -3.743

2.
Below is a cluster of 2 separate species, C3H8O4 in total at a distorted geometry, with properties calculated with wB97M-V/def2-TZVPD.

CARTESIAN COORDINATES (ANGSTROEM)
1 C -1.239 -0.191 -0.721
2 O -0.523 -0.010 0.506
3 C 0.802 -0.038 0.331
4 O 1.060 -1.308 -0.029
5 C 0.363 -1.712 -1.245
6 O -0.958 -1.515 -1.112
7 H -0.863 0.476 -1.520
8 H -2.316 0.023 -0.582
9 H 1.315 0.212 1.280
10 H 1.033 0.763 -0.397
11 H 0.568 -2.771 -1.496
12 H 0.794 -1.087 -2.050
13 O -0.216 2.715 2.451
14 H 0.615 2.367 2.848
15 H -0.434 2.077 1.734

Atomic forces in eV per Å
C 0.945 -0.037 0.480
O -4.653 2.209 0.625
C 1.085 1.096 0.039
O 1.958 -2.896 -1.562
C 2.357 0.581 0.143
O -2.673 -0.100 -0.218
H 0.137 0.101 0.368
H 0.700 -0.706 0.184
H -0.196 -0.360 -0.398
H 0.621 -0.390 -0.334
H -0.076 0.591 0.671
H -0.146 0.000 0.014
O 0.716 -0.910 -0.323
H -0.931 0.354 -0.431
H 0.156 0.468 0.741

## Properties
- energy relative to the best compared isomer or geometry (same formula, charge and spin) (eV) = 2.234
- LUMO level (eV) = 0.785
- structure (SMILES) = C1OCOCO1.O

3.
Below is a structure of composition C10H15N2O2PS at a distorted geometry, with properties calculated with wB97M-V/def2-TZVPD.

CARTESIAN COORDINATES (ANGSTROEM)
1 O 0.588 1.326 -1.079
2 P 0.468 1.213 0.424
3 C 2.111 1.330 1.321
4 C 2.105 1.084 2.756
5 C 3.458 1.136 3.474
6 C 4.718 1.423 2.796
7 C 4.658 1.670 1.318
8 N 5.720 1.921 0.470
9 S 5.116 2.087 -1.063
10 N 3.469 1.866 -0.832
11 C 3.347 1.637 0.519
12 H -0.006 -0.125 0.681
13 H -0.523 2.107 0.927
14 H 1.193 0.830 3.349
15 H 3.480 0.915 4.575
16 H 5.701 1.451 3.319
17 C -2.499 0.278 -1.933
18 C -1.809 -1.015 -1.538
19 O -2.439 -1.687 -0.455
20 C -3.785 -2.086 -0.656
21 C -3.967 -3.047 -1.819
22 H -2.558 0.956 -1.078
23 H -1.949 0.773 -2.735
24 H -3.519 0.106 -2.284
25 H -0.792 -0.786 -1.213
26 H -1.712 -1.688 -2.397
27 H -4.428 -1.207 -0.769
28 H -4.101 -2.582 0.265
29 H -3.683 -2.595 -2.770
30 H -5.012 -3.355 -1.896
31 H -3.349 -3.937 -1.679

Atomic forces in eV per Å
O -0.103 0.270 1.688
P 0.730 -0.941 -2.667

Brief:
The reader should find the line further above that holds "-0.327 0.138", then duplicate that line and all lines after it there.

Response:
H -0.327 0.138 -0.113
H 0.445 0.347 -0.465
H -0.041 0.285 0.399
H 0.497 -0.269 0.136
H -0.334 0.028 -0.109
H -0.041 -0.198 0.386
H -0.424 -0.390 -0.291
H 0.306 -0.102 -0.105

## Properties
- energy relative to the best compared isomer or geometry (same formula, charge and spin) (eV) = 0.629
- charge = +1
- 2S+1 = 2
- LUMO level (spin up / spin down) (eV) = -3.761 / -3.743

2.
Below is a cluster of 2 separate species, C3H8O4 in total at a distorted geometry, with properties calculated with wB97M-V/def2-TZVPD.

CARTESIAN COORDINATES (ANGSTROEM)
1 C -1.239 -0.191 -0.721
2 O -0.523 -0.010 0.506
3 C 0.802 -0.038 0.331
4 O 1.060 -1.308 -0.029
5 C 0.363 -1.712 -1.245
6 O -0.958 -1.515 -1.112
7 H -0.863 0.476 -1.520
8 H -2.316 0.023 -0.582
9 H 1.315 0.212 1.280
10 H 1.033 0.763 -0.397
11 H 0.568 -2.771 -1.496
12 H 0.794 -1.087 -2.050
13 O -0.216 2.715 2.451
14 H 0.615 2.367 2.848
15 H -0.434 2.077 1.734

Atomic forces in eV per Å
C 0.945 -0.037 0.480
O -4.653 2.209 0.625
C 1.085 1.096 0.039
O 1.958 -2.896 -1.562
C 2.357 0.581 0.143
O -2.673 -0.100 -0.218
H 0.137 0.101 0.368
H 0.700 -0.706 0.184
H -0.196 -0.360 -0.398
H 0.621 -0.390 -0.334
H -0.076 0.591 0.671
H -0.146 0.000 0.014
O 0.716 -0.910 -0.323
H -0.931 0.354 -0.431
H 0.156 0.468 0.741

## Properties
- energy relative to the best compared isomer or geometry (same formula, charge and spin) (eV) = 2.234
- LUMO level (eV) = 0.785
- structure (SMILES) = C1OCOCO1.O

3.
Below is a structure of composition C10H15N2O2PS at a distorted geometry, with properties calculated with wB97M-V/def2-TZVPD.

CARTESIAN COORDINATES (ANGSTROEM)
1 O 0.588 1.326 -1.079
2 P 0.468 1.213 0.424
3 C 2.111 1.330 1.321
4 C 2.105 1.084 2.756
5 C 3.458 1.136 3.474
6 C 4.718 1.423 2.796
7 C 4.658 1.670 1.318
8 N 5.720 1.921 0.470
9 S 5.116 2.087 -1.063
10 N 3.469 1.866 -0.832
11 C 3.347 1.637 0.519
12 H -0.006 -0.125 0.681
13 H -0.523 2.107 0.927
14 H 1.193 0.830 3.349
15 H 3.480 0.915 4.575
16 H 5.701 1.451 3.319
17 C -2.499 0.278 -1.933
18 C -1.809 -1.015 -1.538
19 O -2.439 -1.687 -0.455
20 C -3.785 -2.086 -0.656
21 C -3.967 -3.047 -1.819
22 H -2.558 0.956 -1.078
23 H -1.949 0.773 -2.735
24 H -3.519 0.106 -2.284
25 H -0.792 -0.786 -1.213
26 H -1.712 -1.688 -2.397
27 H -4.428 -1.207 -0.769
28 H -4.101 -2.582 0.265
29 H -3.683 -2.595 -2.770
30 H -5.012 -3.355 -1.896
31 H -3.349 -3.937 -1.679

Atomic forces in eV per Å
O -0.103 0.270 1.688
P 0.730 -0.941 -2.667